Course Affiliation Criteria

WGST Course Affiliation Criteria

If you would like to offer a course that counts toward the WGS majors or minor, please see the course affiliation criteria below.


Only courses taught by Women’s and Gender Studies faculty affiliates are eligible to count toward the Women’s and Gender Studies majors and minor. In considering whether to approve a course as a Women’s and Gender Studies course, the WGS program employs the following criteria. 

A. Course Pedagogy: The course should foster a climate of mutual inquiry and exchange of ideas among and between faculty and students. They should encourage students to reflect on how the issues of gender in the course are produced in everyday life and in larger contexts such as the social, political, psychological, cultural, economic, historical, and the technological. They should encourage students to develop critical thinking skills, offer them the opportunity to articulate their own positions on the issues raised by the course, and allow for an incorporation of feminist perspectives in assignments.

B. Course Content: Will be one of the following two types:

Course Type A: Should be a combination of: 

  • Content: The course should have as its central focus issues of gender, issues of special concern to women, and the diversity of women’s lives, e.g., race, ethnicity, class, sexual orientation, age, ability, from cross-cultural perspectives.
  • Scholarship/Methodology/Theory: The course should present and employ recent feminist scholarship, methodologies, concepts, and analyses so that students can acquire an understanding of the multiplicity of feminist approaches and perspectives and can develop their own informed positions on the issues raised in the class.

Course Type B: Must examine the social construction of gender AND address at least one of the following themes:

  • Address the intersections of various markers of identity, including but not limited to gender, race, class, sexualities, and age.
  • Critically examine cultural assumptions about women, gender, and/or sexualities, e.g. the gender assumptions in the traditional methodologies, theories, and research of particular disciplines.
  • Explore the production of knowledge, art, literature, etc. as it reflects gendered, raced, classed, etc. experiences.
  • Equip students to identify and critically analyze systems of power and privilege.
  • Focus on providing information about women and/or sexual minorities, their influence, roles, experiences, history, and contributions.  

To apply for course affiliation as part of the Women’s and Gender Studies curriculum, please send a detailed course description or syllabus, including the list of readings and a description of your teaching methods to the Director of the Women’s and Gender Studies Program, Dr. Ina Seethaler at

Special Cross-List Courses: 

1. Some courses not officially "affiliated" with WGS can count toward WGS credit for students who make special arrangements with the course instructor and the WGS coordinator to do readings and/or projects (e.g., their course term paper) on WGS topics. Such courses are designated "Special Cross-List" courses. To determine whether a course is eligible for this status, send the following to the director of WGS: 

Unrelated to this article: data records >
- - -
C30H50P4RuSe as an isolated structure in a non-equilibrium geometry. Source: OMol25; level of theory: ωB97M-V with the def2-TZVPD basis set.

Computed properties:
HOMO level (spin up / spin down): -12.9 / -14.8 eV
frontier orbital gap (spin up / spin down): 4.2 / 2.0 eV
⟨S²⟩: 8.84
multiplicity: 6
E_LUMO (spin up / spin down): -8.65 / -12.74 eV
net charge: +3
energy: -136974.0003 eV

Positions of all 86 atoms, in Å:
Ru  0.6609  -0.8888  0.0756
P  -0.6485  -2.6344  0.6888
P  2.2317  -0.9852  1.7988
P  1.9131  -2.1678  -1.4210
H  -2.6816  4.1123  -7.5752
C  -2.6485  3.1855  -8.1421
C  -3.7290  2.4263  -8.3065
H  -4.6909  2.7004  -7.8809
C  -2.1974  -2.4253  1.6793
C  0.0250  -4.0678  1.6519
C  -1.4276  -3.5168  -0.7370
C  3.5996  0.2540  1.8146
C  1.6008  -0.8073  3.5298
C  3.2392  -2.5165  2.0651
C  1.2383  -2.2054  -3.1284
C  2.2415  -3.9754  -1.1601
C  3.6551  -1.6709  -1.7758
H  -1.6866  2.9115  -8.5678
H  -3.6959  1.4995  -8.8735
H  -2.8135  -1.6398  1.2358
H  -1.9635  -2.1511  2.7100
H  -2.7668  -3.3617  1.6797
H  0.3118  -3.7237  2.6504
H  0.9078  -4.4834  1.1646
H  -0.7293  -4.8558  1.7577
H  -2.0650  -2.7986  -1.2601
H  -2.0299  -4.3701  -0.4046
H  -0.6715  -3.8618  -1.4440
H  4.2154  0.1691  2.7171
H  3.1837  1.2620  1.7480
H  4.2242  0.0999  0.9298
H  2.3798  -1.0256  4.2691
H  0.7641  -1.4967  3.6779
H  1.2327  0.2081  3.6932
H  3.9043  -2.3984  2.9280
H  3.8470  -2.7268  1.1822
H  2.5809  -3.3701  2.2391
H  1.7521  -2.9534  -3.7426
H  1.3635  -1.2144  -3.5710
H  0.1686  -2.4270  -3.0926
H  2.9047  -4.3488  -1.9479
H  1.3201  -4.5608  -1.1747
H  2.7307  -4.1243  -0.1934
H  4.1716  -2.4800  -2.3037
H  4.1879  -1.4601  -0.8450
H  3.6473  -0.7651  -2.3847
C  1.0012  1.5801  -2.7282
C  -0.2933  1.1926  -3.0978
C  -0.8471  1.6243  -4.3038
C  -0.1239  2.4500  -5.1645
C  1.1685  2.8409  -4.8015
C  1.7264  2.4127  -3.5998
Se  1.8785  1.0656  -1.0962
H  -0.4893  -0.8220  -1.0994
H  -0.8550  0.5475  -2.4273
H  -1.8540  1.3098  -4.5694
H  -0.5572  2.7845  -6.1029
H  1.7481  3.4839  -5.4596
H  2.7324  2.7216  -3.3271
C  -2.3083  1.7478  0.7328
P  -0.9312  0.8131  1.5215
C  -0.1891  2.4473  2.0176
C  -0.9190  3.2788  2.9119
C  -0.4273  4.5164  3.3347
C  0.8089  4.9633  2.8851
C  1.5501  4.1689  2.0172
C  1.0501  2.9314  1.5983
C  -2.0091  0.3717  2.9914
C  -1.4727  0.4719  4.2966
C  -2.2241  0.1899  5.4377
C  -3.5561  -0.1820  5.3204
C  -4.1433  -0.2388  4.0605
C  -3.3935  0.0511  2.9120
H  -1.9022  2.3682  -0.0925
H  -2.8854  2.3976  1.4196
H  -3.0112  1.0309  0.2635
H  -1.8825  2.9843  3.2999
H  -1.0090  5.1272  4.0135
H  1.1938  5.9216  3.2089
H  2.5151  4.5081  1.6667
H  1.6506  2.3840  0.9581
H  -0.4800  0.8040  4.4743
H  -1.7705  0.2733  6.4179
H  -4.1356  -0.4002  6.2082
H  -5.1890  -0.5035  3.9737
H  -3.9204  0.0106  1.9748



C30H51Al2B2BrCl3F12LiN2O6P3Si as an isolated structure in a non-equilibrium geometry. Source: OMol25; level of theory: ωB97M-V with the def2-TZVPD basis set.

Computed properties:
HOMO level: -10.8 eV
- - -
Here the article continues >

  • A copy of the course syllabus and a brief statement detailing what students would be required to do for WGS credit;
  • A brief statement explaining how the course with the additional requirement meets the guidelines for conventional affiliation. If your course is approved by WGS for special cross-list credit, please include on the regular version of the syllabus a statement describing the WGS option.

2. If there are many sections of the proposed affiliated course but not all sections of the course can be taken for WGS credit, please send a copy of the syllabus to the director of WGS. In this case, students enrolling in this section of the course will be given the option to take the course for WGS credit. If your course is approved by WGS for special cross-list credit, please include on the regular version of the syllabus a statement describing the WGS option.

=====
one) The following is a quantum chemistry calculation of a cluster of 2 separate species, C2H4N3 in total, from the Open Molecules 2025 dataset.

**Molar mass**: 70.08 g/mol
**Orbital gap**: 9.72 eV
**Lowest unoccupied orbital energy**: -6.44 eV

Geometry as ORCA input:
```
! RIJCOSX wB97M-V def2-TZVPD def2/J DEFGRID3
* xyz 1 1
C -0.1833 1.6518 0.4137
C 0.4904 -1.3920 0.0117
N -0.0536 2.7592 0.6844
N 0.0399 -0.4037 -0.9600
N -0.7820 -1.2568 -0.6442
H 1.0318 -2.1908 -0.5102
H 0.7242 -1.1241 1.0763
H 0.3411 3.5921 0.9928
H -1.6085 -1.6358 -1.0645
*
```

two) The following is a quantum chemistry calculation of the ion C2H4N3 with charge +1, from the Open Molecules 2025 dataset.

**SMILES**: C[C@]12N=[N+]1N2
**Molar mass**: 70.08 g/mol
**Orbital gap (alpha / beta)**: 10.01 / 10.01 eV
**Lowest unoccupied orbital energy (alpha / beta)**: -7.14 / -7.14 eV

Geometry as ORCA input:
```
! RIJCOSX wB97M-V def2-TZVPD def2/J DEFGRID3
* xyz 1 1
C 0.3657 0.2332 1.0841
C 0.2354 0.3346 -0.3188
N -0.2366 1.2817 -1.2586
N -1.0055 0.2652 -1.5300
N -0.2967 -0.8179 -1.2377
H -0.5654 0.1543 1.5421
H 1.0133 1.0169 1.5790
H 1.0889 -0.7322 1.1658
H -0.5990 -1.7358 -1.0258
*
```

three) The following is a quantum chemistry calculation of a structure of composition C2H4N3, from the Open Molecules 2025 dataset.

**Molar mass**: 70.08 g/mol
**Orbital gap**: 12.14 eV
**Lowest unoccupied orbital energy**: -4.46 eV

Geometry as ORCA input:
```
! RIJCOSX wB97M-V def2-TZVPD def2/J DEFGRID3
* xyz 1 1
C -0.2576 -0.5621 -0.8836
C -0.3552 0.8512 1.0240
N 0.7782 0.0291 0.5694
N -0.6484 -0.3928 0.3018
N 0.0364 -0.9976 -1.9242
H -0.4679 0.9959 2.0909
H -0.3830 1.6998 0.4458
H 1.3578 -0.4718 1.2810
H -0.0603 -1.1517 -2.9051
*
```

It turns out three) is the most stable, with the second structure 0.0218 hartree higher.

one) The following is a quantum chemistry calculation of a structure of composition C3H4LiO4Tm, from the Open Molecules 2025 dataset.

**Molar mass**: 279.94 g/mol
**Orbital gap (alpha / beta)**: 8.23 / 8.29 eV
**Lowest unoccupied orbital energy (alpha / beta)**: -9.64 / -9.55 eV

Geometry as ORCA input:
```
! RIJCOSX wB97M-V def2-TZVPD def2/J DEFGRID3
* xyz 2 3
O -1.3912 -0.7133 0.5759
C -1.4485 0.5449 0.2433
C -2.5449 -1.4325 -0.0205
O -0.4465 1.2436 0.1049
O -2.6069 0.8915 -0.2493
C -3.3687 -0.2807 -0.6127
H -3.0260 -1.9384 0.8230
H -2.2886 -2.1997 -0.7558
H -4.3620 -0.1858 -0.1660
H -3.4394 -0.3101 -1.7047
O 3.1544 -0.5860 -0.2638
Tm 1.9181 1.1006 -0.2548
Li 4.0058 -1.7284 -1.1974
*
```

two) The following is a quantum chemistry calculation of a structure of composition C3H4LiO4Tm, from the Open Molecules 2025 dataset.

**Molar mass**: 279.94 g/mol
**Orbital gap (alpha / beta)**: 8.09 / 8.19 eV
**Lowest unoccupied orbital energy (alpha / beta)**: -10.22 / -10.13 eV

Geometry as ORCA input:
```
! RIJCOSX wB97M-V def2-TZVPD def2/J DEFGRID3
* xyz 2 3
H -2.3211 0.9835 1.1849
C -1.6305 0.5911 0.4265
C -2.3568 -0.1407 -0.6296
O -1.7678 -0.9031 0.4158
=====

Please send all inquiries and information to the Director of the Women’s and Gender Studies Program, Dr. Ina Seethaler at